(Listing)
1.
Material: Nb4CuSe8
Method: DFT, meta-GGA r2SCAN
State: optimized geometry

```
Nb4CuSe8
1.0
1.7563 13.2919 0.0042
-1.7563 13.2919 0.0042
0.0000 1.3384 5.9207
Cu Se Nb
1 8 4
direct
0.0000 0.0000 0.0000 Cu
0.4392 0.4392 0.2356 Se
0.1893 0.1893 0.1450 Se
0.8107 0.8107 0.8550 Se
0.5608 0.5608 0.7644 Se
0.3141 0.3141 0.3543 Se
0.0580 0.0580 0.2798 Se
0.9420 0.9420 0.7202 Se
0.6859 0.6859 0.6457 Se
0.1238 0.1238 0.8886 Nb
0.6239 0.6239 0.3607 Nb
0.8762 0.8762 0.1114 Nb
0.3761 0.3761 0.6393 Nb
```

Summary:
- crystal system = monoclinic
- space group = C2/m, No. 12

=====

2.
Material: Nb5Cu4Si4
Method: DFT, meta-GGA r2SCAN
State: optimized geometry

```
Nb5Cu4Si4
1.0
3.4908 0.0000 0.8721
1.7454 7.2120 0.4359
-0.0026 0.0001 7.4330
Cu Si Nb
4 4 5
direct
0.6036 0.4770 0.3158 Cu
0.3964 0.5230 0.6842 Cu
0.9194 0.6842 0.4770 Cu
0.0806 0.3158 0.5230 Cu
0.4418 0.8042 0.3123 Si
0.7540 0.6877 0.8042 Si
0.5582 0.1958 0.6877 Si
0.2460 0.3123 0.1958 Si
0.1959 0.9341 0.6741 Nb
0.8041 0.0659 0.3259 Nb
0.1300 0.6741 0.0659 Nb
0.5000 0.0000 0.0000 Nb
0.8700 0.3259 0.9341 Nb
```

Summary:
- crystal system = tetragonal
- space group = I4/m, No. 87

=====

3.
Material: NdCu6
Method: DFT, meta-GGA r2SCAN
State: optimized geometry

```
NdCu6
1.0
5.0530 -0.0026 0.0000
-0.1672 7.9930 0.0000
0.0000 0.0000 10.0267
Cu Nd
24 4
direct
0.2485 0.3183 0.7447 Cu
0.2291 0.5642 0.5973 Cu
0.4983 0.9333 0.3071 Cu
0.2485 0.8183 0.7553 Cu
0.2507 0.4017 0.9838 Cu
0.7515 0.6817 0.2553 Cu
0.7493 0.0983 0.4838 Cu
0.7529 0.3510 0.6434 Cu
0.2471 0.6490 0.3566 Cu
0.2471 0.1490 0.1434 Cu
0.2291 0.0642 0.9027 Cu
0.2507 0.9017 0.5162 Cu
0.0078 0.9359 0.3109 Cu
0.9922 0.5641 0.8109 Cu
0.0078 0.4359 0.1891 Cu
0.7529 0.8510 0.8566 Cu
0.7493 0.5983 0.0162 Cu
0.7709 0.9358 0.0973 Cu
0.4983 0.4333 0.1929 Cu
0.7709 0.4358 0.4027 Cu
0.9922 0.0641 0.6891 Cu
0.5017 0.0667 0.6929 Cu
0.7515 0.1817 0.2447 Cu
0.5017 0.5667 0.8071 Cu
0.7419 0.2390 0.9367 Nd
0.7419 0.7390 0.5633 Nd
0.2581 0.2610 0.4367 Nd
0.2581 0.7610 0.0633 Nd
```

Summary:
- crystal system = monoclinic
- space group = P2_1/c, No. 14

=====

4.
Material: NdCu6
Method: DFT, meta-GGA r2SCAN
State: optimized geometry

```
NdCu6
1.0
-4.5392 -1.3438 1.7636
3.3962 -2.6129 6.7502
-1.1084 9.0973 4.0791
Nd Cu
4 24
direct
0.2500 0.2610 0.5635 Nd
0.7500 0.2390 0.0634 Nd
0.7500 0.7390 0.4366 Nd
0.2500 0.7610 0.9365 Nd
0.7500 0.9355 0.9020 Cu
0.2500 0.5645 0.4021 Cu
0.2500 0.4022 0.0165 Cu
0.0045 0.4337 0.8097 Cu
0.2500 0.9022 0.4835 Cu
0.7500 0.1809 0.7551 Cu
0.9955 0.0663 0.3099 Cu
0.9955 0.5663 0.1902 Cu
0.2500 0.8191 0.2449 Cu
0.7500 0.3514 0.3571 Cu
0.7500 0.8514 0.1429 Cu
0.4955 0.4337 0.8097 Cu
0.5045 0.5663 0.1902 Cu
0.2500 0.6486 0.6429 Cu
0.7500 0.6809 0.7448 Cu
0.4955 0.9337 0.6902 Cu
0.5045 0.0663 0.3099 Cu
0.2500 0.1486 0.8570 Cu
0.2500 0.0645 0.0979 Cu
0.2500 0.3191 0.2552 Cu
0.7500 0.0978 0.5165 Cu
0.7500 0.5978 0.9835 Cu
0.0045 0.9337 0.6902 Cu
0.7500 0.4355 0.5979 Cu
```

Summary:
- crystal system = orthorhombic
- space group = Pnma, No. 62

=====

5.
Material: NdCuO2
Method: DFT, meta-GGA r2SCAN
State: optimized geometry

```
NdCuO2
1.0
3.5434 -0.0132 4.9288
1.5783 3.1725 4.9288
-0.0213 -0.0132 6.0702
Cu O Nd
1 2 1
direct
0.0000 0.0000 0.0000 Cu
0.8941 0.8941 0.8941 O
0.1059 0.1059 0.1059 O
0.5000 0.5000 0.5000 Nd
```

Summary:
- crystal system = trigonal
- space group = R-3m, No. 166

=====

6.
Material: Nd2CuO4
Method: DFT, meta-GGA r2SCAN
State: optimized geometry

```
Nd2CuO4
1.0
3.7698 0.0000 -1.1617
-0.3580 3.7528 -1.1617
0.0108 0.0119 6.7326
O Nd Cu
4 2 1
direct
0.7500 0.2500 0.5000 O
0.0000 0.5000 0.0000 O
0.2500 0.7500 0.5000 O
0.5000 0.0000 0.0000 O
0.6490 0.6490 0.2981 Nd
0.3510 0.3510 0.7019 Nd
0.0000 0.0000 0.0000 Cu
```

Summary:
- crystal system = tetragonal
- space group = I4/mmm, No. 139

=====

no.,DFT formation energy (eV per atom)
1,-0.892
2,-0.532
3,-0.128
4,-0.128
5,-2.469
6,-2.862

* * * * *

## w

(Brief)
Filter the notes above: keep the lines with the word "per".

(Reply)
no.,DFT formation energy (eV per atom)